**Wanted:**
Reproduce the whole of the entries further down without additions.

**Excerpt:**
+++
KLi6IrO6: computed X-ray diffraction stick pattern (Cu Kα X-rays), based on a structure optimized by DFT (PBE).

Peak list (10 most intense, 2θ from 5° to 70°, in order of falling intensity)
(hkl)  d_spacing  I/Imax
1 0 1  5.089  100.0
0 1 2  3.219  99.0
1 1 0  4.143  97.0
1 2 2  2.168  64.6
2 0 2  2.543  32.4
3 0 0  2.392  24.0
0 4 2  1.606  21.0
0 3 3  1.696  19.1
2 1 4  1.502  18.9
3 1 2  1.743  18.3

Cell: 8.2868 8.2868 7.2173 Å, 90.00 90.00 120.00°
Space group R-3m (No. 166, hexagonal axes)
Unique sites:
K (0.0000, 0.0000, 0.0000) (multiplicity 3)
Li (0.0000, 0.3382, 0.5000) (multiplicity 18)
Ir (0.0000, 0.0000, 0.5000) (multiplicity 3)
O (0.0991, 0.5496, 0.3239) (multiplicity 18)
+++

**Written answer:**
KLi6IrO6: computed X-ray diffraction stick pattern (Cu Kα X-rays), based on a structure optimized by DFT (PBE).

Peak list (10 most intense, 2θ from 5° to 70°, in order of falling intensity)
(hkl)  d_spacing  I/Imax
1 0 1  5.089  100.0
0 1 2  3.219  99.0
1 1 0  4.143  97.0
1 2 2  2.168  64.6
2 0 2  2.543  32.4
3 0 0  2.392  24.0
0 4 2  1.606  21.0
0 3 3  1.696  19.1
2 1 4  1.502  18.9
3 1 2  1.743  18.3

Cell: 8.2868 8.2868 7.2173 Å, 90.00 90.00 120.00°
Space group R-3m (No. 166, hexagonal axes)
Unique sites:
K (0.0000, 0.0000, 0.0000) (multiplicity 3)
Li (0.0000, 0.3382, 0.5000) (multiplicity 18)
Ir (0.0000, 0.0000, 0.5000) (multiplicity 3)
O (0.0991, 0.5496, 0.3239) (multiplicity 18)